Positive Behavior Interventions and Supports (PBIS) provides a proven framework, using multi- tiered interventions, and a systematic, data driven approach, which when implemented effectively with other disciplines, creates a mechanism for all individuals to achieve quality of life goals and be fully included across environments (Dunlap, 2013; Carr, 2002).
**Calculated crystals, as found in the file**
+++
Below is a relaxed structure of Nd7Sm4Tm, with properties calculated at the PBE level.

Summary:
Spin magnetization in Bohr magnetons per cell: 0.4
Space group: C2/m, No. 12
Total energy in eV/atom: -4.51
ΔE to the lowest computed polymorph in meV per atom: 204.2
E_form in eV/atom: 0.216

Cell: 6.064 9.872 8.738 Å, 60.38 69.70 72.11°
Element x y z (fractional)
Nd 0.792 0.876 0.540
Nd 0.208 0.124 0.460
Nd 0.081 0.564 0.274
Nd 0.919 0.436 0.726
Nd 0.207 0.776 0.809
Nd 0.500 0.000 0.000
Nd 0.793 0.224 0.191
Sm 0.573 0.301 0.552
Sm 0.427 0.699 0.448
Sm 0.674 0.610 0.043
Sm 0.326 0.390 0.957
Tm 0.000 0.000 0.000

=====

The following is a DFT calculation (PBE-GGA) of an optimized crystal structure of LiZn4Ga5.

Cell: 4.2138 6.1621 7.2853 Å, 104.27 106.81 90.00°
Closest atoms and distances in Å follow each position.
Sites, in units of the cell vectors:
Ga 0.5000 0.5000 0.0000  4 Zn 2.59
Ga 0.1376 0.1998 0.2751  5 Zn 2.72-2.97, 3 Ga 2.75-2.78, 2 Li 2.90
Ga 0.7676 0.3502 0.5352  5 Ga 2.75-2.92, 4 Zn 2.76-2.81
Ga 0.2324 0.6498 0.4647  5 Ga 2.75-2.92, 4 Zn 2.76-2.81
Ga 0.8624 0.8002 0.7249  5 Zn 2.72-2.97, 3 Ga 2.75-2.78, 2 Li 2.90
Zn 0.0500 0.7480 0.1000  5 Ga 2.59-2.76, 2 Zn 2.73, 2 Li 2.81
Zn 0.6743 0.8906 0.3485  1 Li 2.68, 2 Zn 2.73, 7 Ga 2.80-2.97
Zn 0.9500 0.2520 0.8999  5 Ga 2.59-2.76, 2 Zn 2.73, 2 Li 2.81
Zn 0.3257 0.1094 0.6515  1 Li 2.68, 2 Zn 2.73, 7 Ga 2.80-2.97
Li 0.5000 0.0000 0.0000  6 Zn 2.68-2.81, 4 Ga 2.90

Values from the calculation:
E above lowest polymorph	0.0	meV/atom
calculated volume	17.50	Å³ per atom
SG	C2/m, No. 12
E	-22.26	eV for the cell shown

=====

This record from the Alexandria database describes an optimized crystal structure of Na3B2PdO6. The functional is GGA-PBE.

Raw formation energy in eV per atom: -1.6717
Symmetry: No. 164

abc: 5.185 5.185 6.191
angles: 90.00 90.00 120.00
Atoms (fractional coordinates):
O (0.358, 0.179, 0.725)
O (0.179, 0.358, 0.275)
O (0.821, 0.642, 0.725)
O (0.642, 0.821, 0.275)
O (0.179, 0.821, 0.275)
O (0.821, 0.179, 0.725)
Na (0.333, 0.667, 0.752)
Na (0.000, 0.000, 0.000)
Na (0.667, 0.333, 0.248)
B (0.333, 0.667, 0.289)
B (0.667, 0.333, 0.711)
Pd (0.000, 0.000, 0.500)

This record from the Alexandria database describes an optimized crystal structure of NaPm3B4O12. The functional is GGA-PBE.

Raw formation energy in eV per atom: -2.6286
Symmetry: No. 155

abc: 6.752 6.752 6.752
angles: 101.79 101.79 101.79
Atoms (fractional coordinates):
O (0.986, 0.179, 0.388)
O (0.014, 0.612, 0.821)
O (0.368, 0.632, 0.500)
O (0.500, 0.368, 0.632)
O (0.612, 0.821, 0.014)
O (0.821, 0.014, 0.612)
O (0.100, 0.900, 0.500)
O (0.632, 0.500, 0.368)
O (0.500, 0.100, 0.900)
O (0.179, 0.388, 0.986)
O (0.900, 0.500, 0.100)
O (0.388, 0.986, 0.179)
B (0.500, 0.968, 0.032)
B (0.968, 0.032, 0.500)
B (0.032, 0.500, 0.968)
B (0.500, 0.500, 0.500)
Pm (0.533, 0.467, 0.000)
Pm (0.467, 0.000, 0.533)
Pm (0.000, 0.533, 0.467)
Na (0.000, 0.000, 0.000)
+++
**The calculated crystals stop here**
System-wide approaches, including schoolwide positive behavioral interventions and supports (SWPBIS) and organization-wide positive behavioral supports (OWPBS) have been meticulously assembled and researched within schools, organizations, and community settings. Both are applied through a multi-tiered continuum, focusing on teaching positive, prosocial behavior skills to all service recipients within the school or organization (Hawken & O’Neill, 2006). Specific evaluation procedures and practices exist within each tier, including universal (tier 1), targeted (tier 2), and intensive (tier 3) (Sugai, Simonsen, Bradshaw, Horner, & Lewis, 2014).
Universal interventions involve clear and consistent expectations which are systematically taught, reinforced, and corrected for all service recipients and staff. An example of universal expectations would be posting and reviewing lunch room expectations with all individuals before they enter the lunch room. When individuals engage in desired expectations they are reinforced verbally with positive, specific praise. Approximately 80% of recipients respond well to the majority of the universal interventions.
Targeted interventions include interventions for individuals who aren’t responding to universal interventions (10-15% of students). An example would be providing additional scheduled times throughout an individual’s day to teach and reinforce expectations. This can include specific prosocial skill curriculum or an additional lesson and reinforcement on expectations.
Intensive interventions are provided when universal and targeted interventions are not effective and reducing challenging behavior and increasing desired behaviors.
Life Outcomes Through Integrated Systems (LOTIS) wheel. The LOTIS wheel is a framework to implement multi-tiered PBIS interventions across home, school, work, and community contexts by embedding quality of life domains across these contexts (Freeman, Enyart, Schmitz, Kimbrough, Mathews, & Newcomer, 2015). As a planning tool, person centered or wrap around teams work through each of the domains and identify if the individual needs universal, targeted, or intensive supports to achieve domain related goals for the service recipient.
Implementation Science is focused on what will be implemented, how it will be implemented, and who will do the work of implementation (Ogden & Fixsen, 2014). Ogden and Fixsen summarize obstacles and facilitators of implementation as being associated with “characteristics of the innovation itself, the provider, the practitioner adopting the practice, the client or consumer, and the inner and outer concept of the service delivery organization”
Person Centered Planning is an ongoing problem-solving process that is used by a group of people who are interested in helping an individual achieve a lifestyle based upon her preferences, needs, and choices.
Functional Assessment, also referred to as a Functional Behavioral Assessment (FBA), is used to gather information to create an environment that makes problem behavior unnecessary and to develop interventions so that new skills can be taught to replace problem behavior with socially appropriate ones. Functional Assessment is a critical part of positive behavior support.
Intervention is the phase of the intensive individualized PBS process where strategies are implemented to reduce problem behavior and teach new skills. The PBS facilitator/team collaborates with the individual/family to determine function-based strategies/interventions,
Attached: materials data.
Below is crystalline Y3Al2Ni6 at its relaxed geometry, with properties calculated at the PBEsol level.

Lattice parameters (Å, degrees): 7.6219 7.6219 7.6219 109.47 109.47 109.47
Fractional coordinates of all 22 atoms:
Ni 0.6644 0.3287 0.6644
Al 0.0000 0.5000 0.0000
Al 0.5000 0.5000 0.5000
Y 0.7082 0.0000 0.7082
Ni 0.6713 0.3356 0.3356
Ni 0.6644 0.0000 0.3356
Y 0.0000 0.7082 0.7082
Ni 0.3287 0.6644 0.6644
Ni 0.3356 0.6713 0.3356
Ni 0.3356 0.6644 0.0000
Y 0.2918 0.2918 0.0000
Al 0.5000 0.0000 0.0000
Ni 0.6644 0.3356 0.0000
Ni 0.0000 0.3356 0.6644
Ni 0.6644 0.6644 0.3287
Ni 0.0000 0.6644 0.3356
Y 0.7082 0.7082 0.0000
Y 0.0000 0.2918 0.2918
Al 0.0000 0.0000 0.5000
Y 0.2918 0.0000 0.2918
Ni 0.3356 0.0000 0.6644
Ni 0.3356 0.3356 0.6713

## Properties
space group	Im-3m, No. 229
calculated formation energy	-563	meV/atom

***

Below is crystalline SiBPCl2 at its relaxed geometry, with properties calculated at the PBEsol level.

Lattice parameters (Å, degrees): 4.5098 4.5098 4.7366 90.00 90.00 90.00
Fractional coordinates of all 5 atoms:
P 0.0000 0.0000 0.5000
Cl 0.0000 0.5000 0.0000
Si 0.0000 0.0000 0.0000
B 0.5000 0.5000 0.5000
Cl 0.5000 0.0000 0.0000

## Properties
space group	P4/mmm, No. 123
formation energy without anion corrections	0.9702	eV/atom

***

Below is crystalline CaAl2Ir at its relaxed geometry, with properties calculated at the PBEsol level.

Lattice parameters (Å, degrees): 4.5689 4.5708 4.5689 119.99 90.00 119.99
Fractional coordinates of all 4 atoms:
Ca 0.5000 0.0000 0.5000
Al 0.0000 0.0000 0.0000
Al 0.7500 0.5000 0.2500
Ir 0.2500 0.5000 0.7500

## Properties
space group	F-43m, No. 216
calculated formation energy	-202	meV/atom

***

Below is crystalline CrFe2Se at its relaxed geometry, with properties calculated at the PBEsol level.

Lattice parameters (Å, degrees): 3.4979 3.4979 4.4285 113.26 113.26 90.00
Fractional coordinates of all 4 atoms:
Cr 0.2500 0.7500 0.5000
Fe 0.7500 0.2500 0.5000
Fe 0.0000 0.0000 0.0000
Se 0.5000 0.5000 0.0000

## Properties
space group	I-4m2, No. 119
formation energy without anion corrections	0.2662	eV/atom
distance to the lowest polymorph of the same formula	29	meV/atom

***

Below is crystalline Mg3Se4 at its relaxed geometry, with properties calculated at the PBEsol level.

Lattice parameters (Å, degrees): 5.3573 5.3573 5.3573 90.00 90.00 90.00
Fractional coordinates of all 7 atoms:
Se 0.0000 0.0000 0.0000
Mg 0.0000 0.5000 0.0000
Se 0.0000 0.5000 0.5000
Mg 0.5000 0.0000 0.0000
Mg 0.0000 0.0000 0.5000
Se 0.5000 0.0000 0.5000
Se 0.5000 0.5000 0.0000

## Properties
space group	Pm-3m, No. 221
formation energy without anion corrections	-0.8202	eV/atom

***

Below is crystalline TlTe2Cl at its relaxed geometry, with properties calculated at the PBEsol level.

Lattice parameters (Å, degrees): 3.2322 3.2322 9.8397 90.00 90.00 90.00
Fractional coordinates of all 4 atoms:
Te 0.0000 0.0000 0.2712
Te 0.0000 0.0000 0.7288
Cl 0.5000 0.5000 0.5000
Tl 0.5000 0.5000 0.0000

## Properties
space group	P4/mmm, No. 123
Fidelity Observation occurs when an additional KIPHIC professional (mentor) will come to observe your facilitator observing and providing feedback to you on strategy/intervention implementation.
Contextual Fit Survey is completed to help an intensive PBS facilitator determine if the strategies/interventions in place are a good fit for the individual, family and team.
Baseline Data is taken prior to interventions to get an idea on trends of behavior (how often it is occurring, etc.) This data will be collected in a systematic way that the intensive PBS facilitator and other team members can decide upon such as marking tallies on a paper data sheet each time a behavior occurs, etc.
Assessment Data is the time that ABC (Antecedent, Behavior, Consequence) data will be collected.